Monday, May 30, 2011

Rise Against - Hero Of War

Class Minutes: Monday, May 30th

1. We started with a prayer, which was a youtube video about the tragedy of war, markedly the delusion of the enemy as "other" than us, the lost generation, and the disappointment of authority figures who are supposed to protect. You can watch it again on the post above.
2. Wrote our first poetry terms quiz: class average was 61%; we need 80%
3. Collected the dramatic irony Macbeth multi
4. Went over the us vs. them discussion questions
5. Read Thomas Hardy's, "The Man He Killed," and wrote a C&C thesis with All Quiet
6. Discussed the episode with the French girls. It's important because:
a. it reveals the carpe diem attitude the boys adopted in the face of death
b. it reminds readers that these soldiers are just young, inexperienced, goofy kids who have yet to experience life
c. the inability to communicate with the girls is paralleled in their inability to communicate the horrors of the war to their families and loved ones. They become a lost generation...lost from others, lost from their previous lives. We'll talk more about this next class, after you've read the home visit excerpt.
7. We discussed the symbolism of the poplars and butterfly. They represent beauty. Paul knows beauty exists in the world, but feels it's not meant for him, which adds to his growing sense of hopelessness. See Moodle notes.
8. Read the home visit excerpt and study your poetry terms for next class.

-- Materials data from another source follow --
┌──
(1)
PBE Mo2OsRh, relaxed; excess energy over the best structure of this formula in the dataset = 87 meV per atom
1.0
-2.148 1.202 4.103
0.268 -0.010 4.778
1.975 4.322 0.685
Mo Os Rh
2 1 1
direct
0.995 0.995 0.019 Mo
0.756 0.756 0.730 Mo
0.502 0.502 0.513 Os
0.247 0.247 0.238 Rh

(2)
Here is a geometry-optimized Dy5Ho4Cd2 structure from Alexandria via LeMat-Bulk. Energies are from PBE.

Structure (POSCAR):
```
Dy5Ho4Cd2
1.0
-1.786 -2.083 2.115
7.125 -1.620 4.422
-2.717 8.717 6.289
Ho Dy Cd
4 5 2
direct
0.500 0.148 0.882 Ho
0.500 0.270 0.450 Ho
0.500 0.730 0.550 Ho
0.500 0.852 0.118 Ho
0.000 0.202 0.165 Dy
0.000 0.565 0.298 Dy
0.000 0.500 0.000 Dy
0.000 0.798 0.835 Dy
0.000 0.435 0.702 Dy
0.000 0.057 0.634 Cd
0.000 0.943 0.366 Cd
```

Number 1: uncorrected energy -40.2 eV for the cell shown. Number 2: uncorrected energy -43.0 eV for the cell shown.


Density functional theory data (PBE-GGA) for a relaxed structure of Ta2CrHg.

a b c (Å): 2.945 2.945 8.337
angles (deg): 90.00 90.00 90.00
Space group P4mm (No. 99)
Asymmetric unit:
Ta: 0.000 0.000 0.000
Ta: 0.500 0.500 0.263
Cr: 0.000 0.000 0.483
Hg: 0.500 0.500 0.730

Computed properties:
ΔE_f = 0.37 eV/atom

Density functional theory data (PBE-GGA) for a relaxed structure of TaCrHg.

a b c (Å): 2.929 2.929 12.526
angles (deg): 90.00 90.00 90.00
Space group I4mm (No. 107)
Asymmetric unit:
Ta: 0.000 0.000 0.000
Cr: 0.000 0.000 0.647
Hg: 0.000 0.000 0.315

Computed properties:
Excess energy over the best structure of this formula in the dataset = 0.0531 eV per atom
ΔE_f = 0.43 eV/atom

Density functional theory data (PBE-GGA) for a relaxed structure of Ta2CrHg.

a b c (Å): 3.261 4.613 9.166
angles (deg): 90.00 90.00 90.00
Space group Imm2 (No. 44)
Asymmetric unit:
Ta: 0.000 0.000 0.000
Ta: 0.000 0.500 0.229
Cr: 0.000 0.500 0.712
Hg: 0.000 0.000 0.455

Computed properties:
ΔE_f = 0.37 eV/atom


Record 1
# SrZr2Os

A geometry-optimized SrZr2Os structure (PBE-GGA, Alexandria).

Properties
E above lowest polymorph   89 meV per atom
Calculated formation energy   0.15 eV/atom
Electronic total energy   -29.39 eV/cell
Symmetry   P4mm (99)
V   98.0 Å³ per cell

Cell lengths 3.389, 3.389, 8.534 Å; angles 90.00, 90.00, 90.00 degrees
Positions (direct):
Sr1 0.000 0.000 0.000
Zr1 0.000 0.000 0.590
Zr2 0.500 0.500 0.355
Os1 0.500 0.500 0.746

Record 2
# SrZr2Os

A geometry-optimized SrZr2Os structure (PBE-GGA, Alexandria).

Properties
E above lowest polymorph   543 meV per atom
Calculated formation energy   0.61 eV/atom
Electronic total energy   -27.58 eV/cell
Symmetry   Pmmm (47)
V   88.1 Å³ per cell

Cell lengths 3.564, 4.826, 5.124 Å; angles 90.00, 90.00, 90.00 degrees
Positions (direct):
Sr1 0.000 0.000 0.000
Zr1 0.000 0.500 0.500
Zr2 0.500 0.500 0.000
Os1 0.500 0.000 0.500

Record 3
# Sr2ZrOs

A geometry-optimized Sr2ZrOs structure (PBE-GGA, Alexandria).

Properties
E above lowest polymorph   576 meV per atom
Calculated formation energy   0.71 eV/atom
Electronic total energy   -20.29 eV/cell
└──

Sunday, May 29, 2011

Class Minutes: Thursday, May 26th

1. Class discussion on authority figures
2. Collected Kantorek and Himmelstoss flow charts
3. Discussed the concept of "otherness"
3. Listened to David Sedaris on This American Life re: Christmas traditions
4. Discussed the us vs. them mentality as it applies to war
5. HW: Prep for discussion questions on us vs them. and the French girls
6. Poetry quiz next day

Tuesday, May 24, 2011

Class Minutes: Tues. May 24th

1. Dramatic irony essay was assigned as a take home assignment, due Monday, May 30th
2. Mr. Street shared some WWI paraphernalia
3. We watched clips of All Quiet on the Western Front, which emphasize the futility of trench warfare
4. We discussed the Existentialism discussion questions and peer assessed each other on our speaking and listening skills with 2 Stars and a Wish
5. Complete the character flow chart for Kantorek and Himmelstoss
6. Prep your response to the "authority" discussion questions
7. Read excerpts on the shell hole experience and the Russian POWs

The first poetry terms quiz has been postponed until next class.

Wednesday, May 18, 2011

Class Mintutes: Wed. May 18th

1. Collected Macbeth texts and handed out All Quiet on the Western Front novels.
2. Intro slides on WWI and trench warfare
3. Handout on Historical background info
4. Read, "Paper Cuts," and answered and discussed following questions
5. Read excerpts on existentialism and answered 3 questions as preparation for next class's discussion
6. Study poetic terms handout for review poetry terms quiz next class
7. Read excerpts on the failure of authority figures next day
8. Use handout on characters as a reference and guide in your reading


Saturday, May 14, 2011

Class Minutes: Thurs. May 12th

A number of students were away. The assignment from today is due on Wed. May 18th.
You have a choice to either:

a. write a motif paragraph (use the worksheet you used while practicing with the on-line concordances)
b. create a Glogster page and either email it to me or share it on our blog at:

I've posted a sample Glogster on the blog that I made. It's fairly user friendly and easy to navigate. You'll have to create an account, but it's free. Stick to the emo and goth designs as they are most appropriate for Macbeth.

The link to Glogster is on the blog under Sites of Interest (as are the conconcordanes) as well as on Moodle. The criteria sheet for Glogster and motif paragraph assignment are both on Moodle.

Next class, you'll be writing the dramatic irony essay in full. You have all 70 minutes, but it must be finished in that time. You will not be able to finish it after school etc. It's important that you practice a timed write with the final exam coming up. So, bring your prepared outlines to class. The more you have done ahead of time (thesis, select quotes, know the references...), the less time you'll need in class.

Sunday, May 8, 2011

Class Mintues: Friday, May 6th

1. Discuss Lady Macbeth, "Then and Now" and her changing attitudes. She's done a 180 degree turn since Act I.
2. Listen to the rest of Act V on ipod, pausing to discuss key points.
3. Homework: outline for an essay on Shakespeare's use of dramatic irony in the play.

Class Minutes: Wed. May 4th

1. Hand back marked work and update portfolios.
2. Watch and discuss Prezi picture summary of Act IV
3. Self check Act IV comprehension questions with provided key
4. Listen to Act V.i, the sleepwalking scene
5. Complete the first column of the text-to-film t-chart worksheet
6. Watch the sleepwalking scene on film
7. Complete the text-to-film t-chart
8. Use Shakespeare on-line concordances to prepare for motif paragraph (complete worksheet)

Tuesday, May 3, 2011


Mon. April 18th:
Collected sociogram
Went over the review sheet for Acts 1-2
Read and discussed the Act 2 notes
Wrote Act 1-2 quiz
Continued reading (III.i-iii)
Finish reading Act III for homework

Wed. April 20th:
Mrs. Wall was away.
We wrote the pathetic fallacy paragraph
Read theme notes and filled in the blanks (TOC went over with key)


Tues. April 26th:
Daily focus questions: respond and discuss
a. Who is the third murderer?
b. How has Macbeth's attitude toward death changed?
Act III notes: read and discuss
Read Act IV.i and perform a choral reading (play the parts of witches, owls, wind, dogs, and lightning)
Finish reading Act IV.i

Thurs. April 28th:
Act III quiz
T-chart of film vs. text of Macbeth's second meeting with the witches
Watch the film clip and complete the T-chart
Read Act IV, ii-iii and do comprehension questions

Monday, May 2nd:
Text framing notes on Act IV
Go over student thesis samples: mark with rubric & discuss strengths and weaknesses